VBA CMYKKit pools installed by unregistered pool builders can leave homeowners with expensive legal bills, warranty, OHS and insurance issues.

"The most effective way consumers can protect their financial and legal position is to use a builder who is registered with the Victorian Building Authority(VBA), specifically in the categories of 'Domestic Builder Unlimited' or 'Domestic Builder – Limited Swimming Pools’, SPASAVIC CEO Chris Samartzis said. “The best way to ensure a stress-free experience is to use a SPASAVIC Pool Builder Member."
There are three essential questions prospective pool or spa owners should ask:

            1. Are you a Registered Building Practitioner?
            2. Are you a SPASAVIC Pool Builder Member?
            3. Do you use a SPASAVIC Pool Construction Contract?

Unregistered and inexperienced pool builders can talk unknowing homeowners into accepting all of the responsibility for building faults or structural failures of a pool or spa by getting them to become an ‘owner builder’.

**Inserted here: records of molecules:**
~~~
55
Properties=species:S:1:pos:R:3:forces:R:3:mulliken_charge:R:1 method="wB97M-V/def2-TZVPD" total_charge=+2 max_force_ev_per_a=6.57 homo_ev=-15.09 lumo_energy_ev=-12.483 gap_ev=2.60 total_energy_ha=-2242.9535
In -2.38090 0.89739 -2.14150 0.8 -0.5 0.6 1.064
Cl 3.54591 -2.15401 0.39267 -0.1 0.1 0.1 -0.141
Cl 1.79735 -3.17183 2.52178 0.0 0.0 0.0 -0.153
F -0.42803 -0.53525 -0.42947 -0.3 0.5 0.6 -0.986
O 0.06063 2.57647 -1.12915 0.0 0.2 -0.3 -0.414
O -2.46264 1.62736 0.90578 -2.4 0.9 -6.1 -0.286
O -3.71240 -1.62453 -0.42618 -0.3 0.6 -0.7 -0.413
O 0.12531 0.28534 -3.82062 -0.1 0.9 -0.6 -0.583
N -1.12804 0.58478 2.17188 1.1 -1.0 1.0 0.690
N 1.58526 1.46707 -0.05548 1.1 -0.7 1.7 0.505
N -2.26463 -2.27598 1.06007 0.8 -1.0 2.7 0.357
N 2.32252 0.43916 -4.52714 -1.4 1.1 -0.6 -0.184
C 2.09738 1.51098 -5.52397 0.8 -0.1 0.4 -0.833
C 2.84375 1.20974 0.63636 -0.2 0.2 -1.2 -1.012
C -0.39205 0.34049 3.35017 0.9 -1.0 0.6 -1.040
C -2.08652 1.47954 1.99728 1.0 1.5 4.6 0.491
C -2.56825 2.37748 3.12661 0.0 -0.4 -0.2 -1.180
C 1.70491 -0.97255 -2.64693 0.3 -0.5 -1.6 -0.497
C 1.87851 -2.34604 0.94941 0.0 -0.3 0.3 0.626
C 2.23048 3.54170 -1.18874 0.2 1.4 0.1 -1.125
C 1.24960 2.53199 -0.77479 -0.8 -0.2 -1.2 0.786
C -1.87357 -2.88319 2.36767 0.9 0.0 -1.0 -0.728
C 1.31319 -0.02793 -3.73349 0.2 0.1 0.4 0.500
C -3.48371 -2.32608 0.55652 -0.9 -0.6 -0.3 0.864
C -4.53017 -3.21753 1.14506 -1.4 0.4 0.2 -1.361
H 0.81344 -1.56840 -2.45111 0.3 0.3 0.8 0.124
H 2.72096 0.48796 1.44386 0.0 0.3 -0.1 0.258
H 1.15903 1.38121 -6.06320 0.3 -0.1 0.0 0.296
H -4.33867 -4.28915 1.20029 0.4 0.1 -0.3 0.368
H -2.12845 2.17976 4.10415 -0.2 -0.2 -0.1 0.412
H -5.43620 -3.01686 0.57326 0.1 -0.4 -0.4 0.357
H 1.40611 -1.37988 1.12681 0.1 -0.1 -0.5 -0.665
H 2.99406 1.57688 -6.14019 -0.3 -0.6 -0.5 0.377
H 1.36179 -2.96349 0.21466 -0.1 0.3 0.1 0.332
H 2.41020 -1.62165 -3.16590 0.5 -0.3 0.7 0.578
H 3.45789 0.78444 -0.15739 0.5 -0.6 0.1 0.451
H 3.21584 3.52346 -0.72307 -0.2 -0.2 0.1 0.379
H -2.60777 -3.06183 3.15326 -0.5 0.5 -0.6 0.359
H -0.86804 0.00491 1.38686 -0.1 0.2 -1.0 -0.255
H -1.00764 0.00741 4.18575 -0.2 0.1 0.1 0.421
H 2.12842 2.50814 -5.08486 -0.5 0.0 0.6 0.252
H -4.88530 -2.92309 2.13262 0.6 0.2 0.3 0.373
H 2.15757 -0.37614 -1.85478 -0.2 -0.6 0.2 -0.073
H -1.60488 -1.71199 0.54360 0.6 0.3 -0.4 -0.052
H -1.02466 -2.34522 2.78963 -0.2 0.2 -0.1 0.059
H 0.87233 0.75204 -0.03166 -0.9 -0.8 -0.1 -0.118
H 0.24144 1.14800 3.71723 -0.1 0.3 -0.2 0.332
H -1.44816 -3.86117 2.14254 0.0 -0.3 -0.1 0.378
H -3.65023 2.24783 3.10209 0.0 0.1 0.5 0.342
H -2.38621 3.42457 2.88461 0.1 -0.1 -0.2 0.319
H 3.24948 0.03811 -4.52884 -0.3 -0.2 0.4 0.282
H 0.24893 -0.48752 3.04745 0.4 0.0 0.6 0.260
H 3.39854 2.11248 0.89202 -0.4 0.1 0.4 0.355
H 1.71899 4.47638 -0.95883 0.3 0.3 0.1 0.357
H 2.38703 3.61814 -2.26473 -0.3 -0.5 -0.1 0.197

125
Properties=species:S:1:pos:R:3:forces:R:3:mulliken_charge:R:1 method="wB97M-V/def2-TZVPD" max_force_ev_per_a=3.33 homo_ev=-8.88 lumo_energy_ev=0.391 gap_ev=9.27 total_energy_ha=-3362.2257
~~~
**The entry goes on:**

This means that the builder avoids having to provide domestic building insurance for works over $16,000 - which is mandatory for all registered pool builders.

spasavic contract thumbnail 2020In order to contract a Registered Building Practitioner to undertake work, you must be provided with a major domestic building contract for work over $10,000. For work over $16,000, the Registered Building Practitioner must also provide you with Domestic Building Insurance (DBI)[1].

"It’s usually only when a homeowner attempts to sell their home, within six and a half years of the pool being built or renovated, that they find out they are legally bound to provide domestic building insurance before the sale can go ahead[2]." Mr Samartzis said. "What most ‘owner builders’ don't realise is that they become liable for issues, such as damage to a neighbour's property, or a worker being injured on site. This could see the ‘owner builder’ entangled in expensive legal battles for compensation."

Pool Barriers Are Law

The VBA advises that a building permit is required for all pools or spas with a depth of water of more than 30cm, regardless of whether construction is being undertaken by an ‘owner builder’ or not. The building permit application must also include details of the proposed safety barriers.

## The text is interrupted by calculated molecules
=====
Computed, not measured: a molecular structure, C12H21Cl2CoO3PPr at a distorted geometry, with ωB97M-V/def2-TZVPD.

Geometry (Å):
1 Pr 0.325 -1.043 -6.228
2 Co 0.359 -0.532 -1.309
3 Cl -0.655 1.247 -6.380
4 Cl 0.100 -0.150 -3.539
5 C -0.093 -2.240 -1.079
6 C -0.059 -0.423 -8.794
7 C 0.466 -2.247 -8.845
8 O -0.792 -3.159 -1.254
9 O -0.279 0.028 -9.853
10 O 0.565 -2.786 -9.880
11 C 2.803 -0.353 1.584
12 C 1.411 -1.032 1.563
13 C 1.083 -1.596 2.931
14 P 0.055 0.049 0.809
15 C -1.846 -0.208 0.998
16 C -2.411 -0.759 2.324
17 C -2.604 1.062 0.567
18 C 0.181 1.730 1.597
19 C -0.113 1.723 3.112
20 C 1.462 2.485 1.293
21 H 2.970 0.175 2.531
22 H 2.972 0.381 0.787
23 H 3.559 -1.142 1.493
24 H 1.485 -1.944 0.965
25 H 1.153 -0.807 3.671
26 H 0.098 -2.066 2.930
27 H 1.833 -2.360 3.195
28 H -2.054 -1.001 0.244
29 H -2.556 -0.006 3.110
30 H -3.411 -1.200 2.141
31 H -1.788 -1.580 2.700
32 H -2.083 1.546 -0.257
33 H -3.604 0.836 0.199
34 H -2.714 1.793 1.370
35 H -0.649 2.282 1.130
36 H 0.646 1.199 3.713
37 H -0.141 2.759 3.498
38 H -1.084 1.273 3.359
39 H 1.756 2.361 0.252
40 H 1.347 3.560 1.463
41 H 2.306 2.147 1.889

- calculated total energy (Eh) = -3855.31654
- molecular weight (g/mol) = 515.02
- Kohn-Sham gap (spin up / spin down) (eV) = 7.932 / 4.525
- total charge = +4
- spin multiplicity = 7
- HOMO energy (spin up / spin down) (eV) = -22.26 / -22.31
- LUMO energy (spin up / spin down) (eV) = -14.33 / -17.78
=====

Following building completion of a pool or spa, and installation of a permanent barrier, the relevant building surveyor must inspect the work and - if compliant – issue a Certificate of Final Inspection for the building permit and a Certificate of Pool and Spa Barrier Compliance And Council Registration For the Safety Barrier[3]. Homeowners must ensure they receive these certificates before using their pool or spa, in order to keep their family safe."

Here are five important steps homeowners should take before proceeding with the installation of a pool or spa:

1. Get a building permit from a registered building surveyor. Check with your local council or use the Find a practitioner link on the VBA website.

2. Request to see the builder's registration card from the VBA, and search for yourself on the Victorian Building Authority's website or call 1300 815 127.

3. Ask to see a copy of the builder's domestic building insurance policy for the work and also the public liability insurance policy.

4. Check if the builder is a Pool Builder Member of SPASAVIC. All SPASAVIC Pool Builder members must have the correct insurances and be registered with the VBA.

5. Read SPASAVIC’s Consumer Advice and Fact Sheets

Always choose a SPASAVIC Member when you build, renovate or service a pool or spa!

SPASAVIC Fact Sheet 3 - Legislation, Regulation & Contracts

[1] https://www.vba.vic.gov.au/consumers/home-renovation-essentials/insurance-building-plumbing-work

[2] https://www.dbi.vmia.vic.gov.au/builders/owner-builders

[3] https://www.vba.vic.gov.au/consumers/home-renovation-essentials/end-of-project and https://www.vba.vic.gov.au/consumers/swimming-pools/inspections-and-compliance
